┌──
Entry 1:
The following is a GGA-PBE calculation of a relaxed structure of YTc2Se, from Alexandria.

E_form (uncorrected)   0.37 eV per atom
VASP energy   -29.20 eV per cell

Cell: 8.296 8.296 8.296 Å, 22.79 22.79 22.79°
Positions (direct):
Tc1 0.013 0.013 0.013
Tc2 0.487 0.487 0.487
Se1 0.750 0.750 0.750
Y1 0.250 0.250 0.250

---

Entry 2:
The following is a GGA-PBE calculation of a relaxed structure of YTc3Se, from Alexandria.

E_form (uncorrected)   2.43 eV per atom
VASP energy   -28.92 eV per cell

Cell: 4.910 4.910 4.910 Å, 90.00 90.00 90.00°
Positions (direct):
Tc1 0.500 0.000 0.000
Tc2 0.000 0.500 0.000
Tc3 0.000 0.000 0.500
Y1 0.000 0.000 0.000
Se1 0.500 0.500 0.500

---

Entry 3:
The following is a GGA-PBE calculation of a relaxed structure of Y3TcSe, from Alexandria.

E_form (uncorrected)   -0.06 eV per atom
VASP energy   -33.53 eV per cell

Cell: 5.311 5.311 5.311 Å, 90.00 90.00 90.00°
Positions (direct):
Y1 0.000 0.000 0.500
Y2 0.000 0.500 0.000
Y3 0.500 0.000 0.000
Tc1 0.000 0.000 0.000
Se1 0.500 0.500 0.500

---

Entry 4:
The following is a GGA-PBE calculation of a relaxed structure of YTcSe, from Alexandria.

E_form (uncorrected)   -0.34 eV per atom
VASP energy   -21.33 eV per cell

Cell: 3.917 3.917 4.938 Å, 90.00 90.00 120.00°
Positions (direct):
Tc1 0.667 0.333 0.226
Y1 0.333 0.667 0.709
Se1 0.000 0.000 0.065

----------

Record 1
The following is a DFT calculation (GGA-PBE) of a relaxed structure of ThGaGe2.

It has space group P4/mmm (No. 123), with a = 4.478 Å, b = 4.478 Å, c = 4.280 Å, α = 90.00°, β = 90.00° and γ = 90.00°. The asymmetric unit holds Th at (0.000, 0.000, 0.000), Ga at (0.500, 0.500, 0.000) and Ge at (0.000, 0.500, 0.500).

As for the formation energy: -188 kJ/mol of formula units. As for the excess energy over the best structure of this formula in the dataset: 0.0 meV/atom. The total magnetization comes out at 0.0 μB per cell. The density of states at the Fermi level is 0.4500 states/eV/atom.


Record 2
The following is a DFT calculation (GGA-PBE) of a relaxed structure of BSb3W.

It has space group Pm-3m (No. 221), with a = 4.682 Å, b = 4.682 Å, c = 4.682 Å, α = 90.00°, β = 90.00° and γ = 90.00°. The asymmetric unit holds B at (0.000, 0.000, 0.000), Sb at (0.000, 0.000, 0.500) and W at (0.500, 0.500, 0.500).

The calculation puts the raw formation energy at 1.381 eV/atom. As for the excess energy over the best structure of this formula in the dataset: 0.0 meV/atom. The total magnetization comes out at 0.0 μB per cell. The density of states at the Fermi level is 1.4639 states/eV/atom.


Record 3
The following is a DFT calculation (GGA-PBE) of a relaxed structure of Ca2BiAu.

It has space group R3m (No. 160, hexagonal axes), with a = 4.2947 Å, b = 4.2947 Å, c = 23.5566 Å, α = 90.00°, β = 90.00° and γ = 120.00°. The asymmetric unit holds Ca at (0.0000, 0.0000, 0.0000), Ca at (0.0000, 0.0000, 0.1818), Bi at (0.0000, 0.0000, 0.4248) and Au at (0.0000, 0.0000, 0.5898).

As for the formation energy: -241 kJ/mol of formula units. The total magnetization comes out at 0.0 μB per cell. The density of states at the Fermi level is 0.8471 states/eV/atom.


Record 4
The following is a DFT calculation (GGA-PBE) of a relaxed structure of LaOs2.

It has space group I4/mcm (No. 140), with a = 6.854 Å, b = 6.854 Å, c = 5.400 Å, α = 90.00°, β = 90.00° and γ = 90.00°. The asymmetric unit holds La at (0.000, 0.000, 0.250) and Os at (0.121, 0.379, 0.000).

As for the formation energy: 433 kJ/mol of formula units. The total magnetization comes out at 0.0 μB per cell. The density of states at the Fermi level is 1.4253 states/eV/atom.


Record 5
The following is a DFT calculation (GGA-PBE) of a relaxed structure of Li2PuNpN4.
└──

Could you transcribe only the last part of the contents above, starting with the line that has "Cell: 8.296"?

Cell: 8.296 8.296 8.296 Å, 22.79 22.79 22.79°
Positions (direct):
Tc1 0.013 0.013 0.013
Tc2 0.487 0.487 0.487
Se1 0.750 0.750 0.750
Y1 0.250 0.250 0.250

---

Entry 2:
The following is a GGA-PBE calculation of a relaxed structure of YTc3Se, from Alexandria.

E_form (uncorrected)   2.43 eV per atom
VASP energy   -28.92 eV per cell

Cell: 4.910 4.910 4.910 Å, 90.00 90.00 90.00°
Positions (direct):
Tc1 0.500 0.000 0.000
Tc2 0.000 0.500 0.000
Tc3 0.000 0.000 0.500
Y1 0.000 0.000 0.000
Se1 0.500 0.500 0.500

---

Entry 3:
The following is a GGA-PBE calculation of a relaxed structure of Y3TcSe, from Alexandria.

E_form (uncorrected)   -0.06 eV per atom
VASP energy   -33.53 eV per cell

Cell: 5.311 5.311 5.311 Å, 90.00 90.00 90.00°
Positions (direct):
Y1 0.000 0.000 0.500
Y2 0.000 0.500 0.000
Y3 0.500 0.000 0.000
Tc1 0.000 0.000 0.000
Se1 0.500 0.500 0.500

---

Entry 4:
The following is a GGA-PBE calculation of a relaxed structure of YTcSe, from Alexandria.

E_form (uncorrected)   -0.34 eV per atom
VASP energy   -21.33 eV per cell

Cell: 3.917 3.917 4.938 Å, 90.00 90.00 120.00°
Positions (direct):
Tc1 0.667 0.333 0.226
Y1 0.333 0.667 0.709
Se1 0.000 0.000 0.065

----------

Record 1
The following is a DFT calculation (GGA-PBE) of a relaxed structure of ThGaGe2.

It has space group P4/mmm (No. 123), with a = 4.478 Å, b = 4.478 Å, c = 4.280 Å, α = 90.00°, β = 90.00° and γ = 90.00°. The asymmetric unit holds Th at (0.000, 0.000, 0.000), Ga at (0.500, 0.500, 0.000) and Ge at (0.000, 0.500, 0.500).

As for the formation energy: -188 kJ/mol of formula units. As for the excess energy over the best structure of this formula in the dataset: 0.0 meV/atom. The total magnetization comes out at 0.0 μB per cell. The density of states at the Fermi level is 0.4500 states/eV/atom.


Record 2
The following is a DFT calculation (GGA-PBE) of a relaxed structure of BSb3W.

It has space group Pm-3m (No. 221), with a = 4.682 Å, b = 4.682 Å, c = 4.682 Å, α = 90.00°, β = 90.00° and γ = 90.00°. The asymmetric unit holds B at (0.000, 0.000, 0.000), Sb at (0.000, 0.000, 0.500) and W at (0.500, 0.500, 0.500).

The calculation puts the raw formation energy at 1.381 eV/atom. As for the excess energy over the best structure of this formula in the dataset: 0.0 meV/atom. The total magnetization comes out at 0.0 μB per cell. The density of states at the Fermi level is 1.4639 states/eV/atom.


Record 3
The following is a DFT calculation (GGA-PBE) of a relaxed structure of Ca2BiAu.

It has space group R3m (No. 160, hexagonal axes), with a = 4.2947 Å, b = 4.2947 Å, c = 23.5566 Å, α = 90.00°, β = 90.00° and γ = 120.00°. The asymmetric unit holds Ca at (0.0000, 0.0000, 0.0000), Ca at (0.0000, 0.0000, 0.1818), Bi at (0.0000, 0.0000, 0.4248) and Au at (0.0000, 0.0000, 0.5898).

As for the formation energy: -241 kJ/mol of formula units. The total magnetization comes out at 0.0 μB per cell. The density of states at the Fermi level is 0.8471 states/eV/atom.


Record 4
The following is a DFT calculation (GGA-PBE) of a relaxed structure of LaOs2.

It has space group I4/mcm (No. 140), with a = 6.854 Å, b = 6.854 Å, c = 5.400 Å, α = 90.00°, β = 90.00° and γ = 90.00°. The asymmetric unit holds La at (0.000, 0.000, 0.250) and Os at (0.121, 0.379, 0.000).

As for the formation energy: 433 kJ/mol of formula units. The total magnetization comes out at 0.0 μB per cell. The density of states at the Fermi level is 1.4253 states/eV/atom.


Record 5
The following is a DFT calculation (GGA-PBE) of a relaxed structure of Li2PuNpN4.